Filter the entries below: keep the lines with the word "Dy5", please.

<<<
Entry 1:
Diffraction record for Tb12Pm5Dy. The PXRD pattern is theoretical, not measured: it uses DFT lattice parameters and positions (PBE) and Cu Kα X-rays.
Lines closer than 0.1° are merged.

Structural model:
a b c (Å): 10.447 10.447 5.756
angles (deg): 90.01 90.01 110.92
Sites, in units of the cell vectors:
Tb1 0.027 0.667 0.000
Tb2 0.167 0.526 0.499
Tb3 0.202 0.202 0.501
Tb4 0.301 0.301 0.001
Tb5 0.333 0.973 0.000
Tb6 0.474 0.833 0.501
Tb7 0.526 0.167 0.499
Tb8 0.667 0.027 0.000
Tb9 0.699 0.699 0.999
Tb10 0.798 0.798 0.499
Tb11 0.833 0.474 0.501
Tb12 0.973 0.333 0.000
Pm1 0.000 0.000 0.000
Pm2 0.138 0.862 0.500
Pm3 0.364 0.636 0.000
Pm4 0.636 0.364 0.000
Pm5 0.862 0.138 0.500
Dy1 0.500 0.500 0.500

Main lines, in order of rising 2θ (2θ from 5° to 70°):
2θ = 31.1°, I = 33; 2θ = 31.2°, I = 36; 2θ = 31.6°, I = 100; 2θ = 32.0°, I = 8; 2θ = 44.6°, I = 17; 2θ = 55.6°, I = 23; 2θ = 55.7°, I = 9; 2θ = 56.5°, I = 12; 2θ = 62.3°, I = 8; 2θ = 63.3°, I = 8


Entry 2:
Diffraction record for TbPm5Dy3. The PXRD pattern is theoretical, not measured: it uses DFT lattice parameters and positions (PBE) and Cu Kα X-rays.
Lines closer than 0.1° are merged.

Structural model:
a b c (Å): 9.966 9.966 7.300
angles (deg): 90.00 90.00 56.01
Sites, in units of the cell vectors:
Tb1 0.171 0.829 0.750
Tb2 0.829 0.171 0.250
Pm1 0.012 0.660 0.001
Pm2 0.012 0.660 0.499
Pm3 0.196 0.804 0.250
Pm4 0.340 0.988 0.001
Pm5 0.340 0.988 0.499
Pm6 0.660 0.012 0.501
Pm7 0.660 0.012 0.999
Pm8 0.804 0.196 0.750
Pm9 0.988 0.340 0.501
Pm10 0.988 0.340 0.999
Dy1 0.321 0.322 0.750
Dy2 0.322 0.321 0.250
Dy3 0.500 0.500 0.000
Dy4 0.500 0.500 0.500
Dy5 0.678 0.679 0.750
Dy6 0.679 0.678 0.250

Main lines, in order of rising 2θ (2θ from 5° to 70°):
2θ = 29.1°, I = 37; 2θ = 30.4°, I = 100; 2θ = 32.7°, I = 37; 2θ = 37.3°, I = 19; 2θ = 38.6°, I = 21; 2θ = 50.0°, I = 10; 2θ = 52.3°, I = 11; 2θ = 54.1°, I = 11; 2θ = 57.5°, I = 18; 2θ = 59.7°, I = 11

=====

Entry 1:
Diffraction record for Zr6CdBi. The powder diffraction line list is computed, not measured: it uses a DFT-relaxed cell (PBE, Alexandria) and a wavelength of 1.5418 Å.
Peak positions follow from Bragg's law for the DFT cell and can differ from measured ones.

Cell and atoms:
```
data_Zr6CdBi
_chemical_formula_sum 'Zr12 Cd2 Bi2'
_space_group_name_H-M_alt 'A m m 2'
_space_group_IT_number 38
_cell_length_a 5.261
_cell_length_b 6.474
_cell_length_c 10.885
_cell_angle_alpha 90.00
_cell_angle_beta 90.00
_cell_angle_gamma 90.00
loop_
_space_group_symop_operation_xyz
'x,y,z'
'-x,-y,z'
'-x,y,z'
'x,-y,z'
'x,y+1/2,z+1/2'
'-x,-y+1/2,z+1/2'
'-x,y+1/2,z+1/2'
'x,-y+1/2,z+1/2'
loop_
_atom_site_label
_atom_site_type_symbol
_atom_site_fract_x
_atom_site_fract_y
_atom_site_fract_z
_atom_site_occupancy
Zr1 Zr 0.000 0.000 0.000 1
Zr2 Zr 0.000 0.000 0.496 1
Zr3 Zr 0.000 0.239 0.248 1
Zr4 Zr 0.500 0.244 0.055 1
Cd1 Cd 0.500 0.000 0.314 1
Bi1 Bi 0.500 0.000 0.804 1
```

Peak list (12 most intense, 2θ = 10–90°, sorted by position)
2θ 32.2, d = 2.782 Å, I 12, hkl 0 2 2; 2θ 32.9, d = 2.721 Å, I 21, hkl 0 0 4; 2θ 34.1, d = 2.630 Å, I 35, hkl 2 0 0; 2θ 36.5, d = 2.459 Å, I 100, hkl 1 2 2; 2θ 37.2, d = 2.417 Å, I 25, hkl 1 0 4; 2θ 47.6, d = 1.911 Å, I 8, hkl 2 2 2; 2θ 48.1, d = 1.891 Å, I 14, hkl 2 0 4; 2θ 56.9, d = 1.618 Å, I 8, hkl 0 4 0; 2θ 58.3, d = 1.583 Å, I 11, hkl 0 2 6; 2θ 62.6, d = 1.483 Å, I 20, hkl 3 2 2; 2θ 68.0, d = 1.378 Å, I 9, hkl 2 4 0; 2θ 69.3, d = 1.356 Å, I 13, hkl 2 2 6

Entry 2:
Diffraction record for AgIrW. The powder diffraction line list is computed, not measured: it uses a DFT-relaxed cell (PBE, Alexandria) and a wavelength of 1.5418 Å.
Peak positions follow from Bragg's law for the DFT cell and can differ from measured ones.

Cell and atoms:
```
data_AgIrW
_chemical_formula_sum 'Ag2 Ir2 W2'
_space_group_name_H-M_alt 'I 4 m m'
_space_group_IT_number 107
_space_group_name_Hall 'I 4 -2'
_cell_length_a 2.846
_cell_length_b 2.846
_cell_length_c 11.991
_cell_angle_alpha 90.00
_cell_angle_beta 90.00
_cell_angle_gamma 90.00
>>>

Dy5 0.678 0.679 0.750